What to do
Reproduce everything underneath exactly.
Input
~~~
73
Properties=species:S:1:pos:R:3:lowdin_charge:R:1 method="wB97M-V/def2-TZVPD" largest_force_ev_per_a=1.24 charge=+1 lumo_energy_ev=-3.3 e_above_lowest_kcal_mol=9.4 homo_ev=-10.84
Ti -0.247 -0.408 0.571 1.0439
O -1.404 -1.826 0.618 -0.1993
C -2.633 -2.221 0.325 -0.3277
C -2.955 -3.574 0.276 0.0047
C -4.248 -3.953 -0.024 -0.0436
C -5.250 -3.004 -0.273 -0.0676
C -4.932 -1.669 -0.204 -0.0248
C -3.619 -1.263 0.082 -0.1482
C -3.317 0.138 0.243 -0.0531
N -2.158 0.669 0.408 -0.0372
C -2.155 2.118 0.714 -0.1708
C -0.824 2.478 1.351 -0.1887
N -0.255 1.269 1.948 -0.0342
C 0.351 1.374 3.072 -0.0385
C 1.010 0.305 3.779 -0.1327
C 1.513 0.533 5.067 -0.0216
C 2.035 -0.503 5.807 -0.0686
C 2.033 -1.791 5.259 -0.0478
C 1.547 -2.029 3.988 0.0130
C 1.059 -0.972 3.227 -0.2731
O 0.621 -1.191 1.988 -0.1620
H -2.176 -4.303 0.468 0.1310
H -4.492 -5.007 -0.065 0.1152
H -6.259 -3.321 -0.500 0.1101
H -5.692 -0.913 -0.372 0.1196
H -4.181 0.805 0.261 0.1454
H -2.979 2.342 1.389 0.1251
H -2.295 2.690 -0.200 0.0942
H -0.948 3.262 2.096 0.1263
H -0.126 2.825 0.587 0.0590
H 0.352 2.347 3.561 0.1431
H 1.476 1.538 5.475 0.1203
H 2.431 -0.330 6.799 0.1095
H 2.416 -2.619 5.843 0.1141
H 1.544 -3.022 3.557 0.1257
C 1.013 -0.711 -3.040 -0.2223
P -0.565 -0.686 -2.120 0.8876
C -1.290 -2.299 -2.562 -0.2280
C -1.543 0.408 -3.241 -0.3980
C -0.894 1.738 -3.644 -0.4095
P -0.176 2.728 -2.252 0.8701
C 1.523 3.092 -2.855 -0.2859
C -0.976 4.355 -2.563 -0.2961
H 0.804 -0.764 -4.109 0.0605
H 1.594 -1.583 -2.752 0.0448
H 1.603 0.185 -2.832 0.0319
H -1.118 -2.496 -3.620 0.0575
H -2.362 -2.305 -2.368 0.0487
H -0.822 -3.080 -1.964 0.0474
H -2.516 0.575 -2.770 0.0746
H -1.709 -0.190 -4.139 0.0840
H -1.642 2.362 -4.136 0.0788
H -0.109 1.545 -4.377 0.0713
H 1.555 3.158 -3.945 0.0466
H 2.234 2.337 -2.518 0.0147
H 1.840 4.050 -2.439 0.0401
H -0.772 4.712 -3.575 0.0463
H -0.602 5.090 -1.850 0.0378
H -2.058 4.278 -2.432 0.0352
Cl 7.025 -0.703 0.944 0.7003
C 5.339 -0.415 0.678 -0.6543
C 4.838 0.877 0.805 -0.0968
C 3.500 1.125 0.588 -0.5446
Cl 2.905 2.752 0.748 0.7405
C 2.619 0.099 0.220 -0.3306
O 1.346 0.360 -0.035 -0.2580
C 3.142 -1.195 0.120 -0.1161
C 2.285 -2.340 -0.177 -0.1461
O 1.078 -2.304 -0.352 -0.0396
C 4.496 -1.446 0.345 -0.0411
H 5.498 1.689 1.079 0.1159
H 2.797 -3.311 -0.239 0.1465
H 4.877 -2.459 0.262 0.1245

***

71
Properties=species:S:1:pos:R:3:lowdin_spin:R:1 method="wB97M-V/def2-TZVPD" largest_force_ev_per_a=1.14 charge=-1 lumo_energy_ev="2.4 / 2.4" e_above_lowest_kcal_mol=3.9 spin_multiplicity=2 homo_ev="-4.05 / -4.18"
Ti 0.242 0.435 -0.140 0.8560
C -0.728 -1.689 0.312 0.0044
C 0.429 -1.989 -0.439 0.0010
C 1.551 -1.616 0.328 -0.0024
C 1.091 -1.072 1.545 0.0006
C -0.319 -1.127 1.541 0.0054
H -1.748 -1.800 -0.020 0.0003
H 0.437 -2.373 -1.448 0.0004
H 2.582 -1.663 0.016 -0.0003
H 1.705 -0.629 2.313 0.0002
H -0.980 -0.735 2.299 0.0012
Cl 0.509 5.800 1.339 0.0025
C 1.584 4.461 1.128 0.0035
Cl 3.256 4.837 0.812 0.0032
Cl 1.583 2.642 -2.373 0.0051
C 1.158 3.194 1.101 0.0227
N 0.818 2.063 1.040 0.0016
C -2.694 1.597 -2.285 0.0029
C -1.658 1.010 -1.363 0.0155
O -0.625 0.396 -1.988 0.0069
N -1.654 1.068 -0.090 -0.0046
Te -4.178 0.656 1.119 0.0006
C -6.180 0.549 1.899 0.0004
C -7.171 -0.099 1.148 0.0000
C -6.875 -0.768 -0.172 0.0000
C -8.487 -0.117 1.605 0.0000
C -8.856 0.486 2.797 0.0000
C -10.282 0.461 3.278 0.0000
C -7.861 1.096 3.548 0.0000
C -6.535 1.128 3.128 0.0000
C -5.519 1.788 4.020 0.0000
C -4.084 2.764 1.298 0.0002
C -5.005 3.570 0.622 0.0000
C -6.096 3.016 -0.256 0.0000
C -4.919 4.956 0.763 0.0001
C -3.946 5.553 1.546 0.0000
C -3.838 7.049 1.661 0.0000
C -3.043 4.730 2.208 0.0001
C -3.092 3.347 2.100 0.0001
C -2.076 2.532 2.850 -0.0002
H -2.197 2.149 -3.083 0.0004
H -3.366 2.254 -1.736 0.0004
H -3.273 0.793 -2.747 0.0002
H -5.959 -1.356 -0.147 0.0000
H -6.743 -0.026 -0.964 0.0000
H -7.697 -1.427 -0.453 0.0000
H -9.244 -0.619 1.010 0.0000
H -10.942 0.017 2.533 0.0000
H -10.646 1.469 3.491 0.0000
H -10.379 -0.120 4.198 0.0000
H -8.120 1.557 4.497 0.0000
~~~
Here it is
73
Properties=species:S:1:pos:R:3:lowdin_charge:R:1 method="wB97M-V/def2-TZVPD" largest_force_ev_per_a=1.24 charge=+1 lumo_energy_ev=-3.3 e_above_lowest_kcal_mol=9.4 homo_ev=-10.84
Ti -0.247 -0.408 0.571 1.0439
O -1.404 -1.826 0.618 -0.1993
C -2.633 -2.221 0.325 -0.3277
C -2.955 -3.574 0.276 0.0047
C -4.248 -3.953 -0.024 -0.0436
C -5.250 -3.004 -0.273 -0.0676
C -4.932 -1.669 -0.204 -0.0248
C -3.619 -1.263 0.082 -0.1482
C -3.317 0.138 0.243 -0.0531
N -2.158 0.669 0.408 -0.0372
C -2.155 2.118 0.714 -0.1708
C -0.824 2.478 1.351 -0.1887
N -0.255 1.269 1.948 -0.0342
C 0.351 1.374 3.072 -0.0385
C 1.010 0.305 3.779 -0.1327
C 1.513 0.533 5.067 -0.0216
C 2.035 -0.503 5.807 -0.0686
C 2.033 -1.791 5.259 -0.0478
C 1.547 -2.029 3.988 0.0130
C 1.059 -0.972 3.227 -0.2731
O 0.621 -1.191 1.988 -0.1620
H -2.176 -4.303 0.468 0.1310
H -4.492 -5.007 -0.065 0.1152
H -6.259 -3.321 -0.500 0.1101
H -5.692 -0.913 -0.372 0.1196
H -4.181 0.805 0.261 0.1454
H -2.979 2.342 1.389 0.1251
H -2.295 2.690 -0.200 0.0942
H -0.948 3.262 2.096 0.1263
H -0.126 2.825 0.587 0.0590
H 0.352 2.347 3.561 0.1431
H 1.476 1.538 5.475 0.1203
H 2.431 -0.330 6.799 0.1095
H 2.416 -2.619 5.843 0.1141
H 1.544 -3.022 3.557 0.1257
C 1.013 -0.711 -3.040 -0.2223
P -0.565 -0.686 -2.120 0.8876
C -1.290 -2.299 -2.562 -0.2280
C -1.543 0.408 -3.241 -0.3980
C -0.894 1.738 -3.644 -0.4095
P -0.176 2.728 -2.252 0.8701
C 1.523 3.092 -2.855 -0.2859
C -0.976 4.355 -2.563 -0.2961
H 0.804 -0.764 -4.109 0.0605
H 1.594 -1.583 -2.752 0.0448
H 1.603 0.185 -2.832 0.0319
H -1.118 -2.496 -3.620 0.0575
H -2.362 -2.305 -2.368 0.0487
H -0.822 -3.080 -1.964 0.0474
H -2.516 0.575 -2.770 0.0746
H -1.709 -0.190 -4.139 0.0840
H -1.642 2.362 -4.136 0.0788
H -0.109 1.545 -4.377 0.0713
H 1.555 3.158 -3.945 0.0466
H 2.234 2.337 -2.518 0.0147
H 1.840 4.050 -2.439 0.0401
H -0.772 4.712 -3.575 0.0463
H -0.602 5.090 -1.850 0.0378
H -2.058 4.278 -2.432 0.0352
Cl 7.025 -0.703 0.944 0.7003
C 5.339 -0.415 0.678 -0.6543
C 4.838 0.877 0.805 -0.0968
C 3.500 1.125 0.588 -0.5446
Cl 2.905 2.752 0.748 0.7405
C 2.619 0.099 0.220 -0.3306
O 1.346 0.360 -0.035 -0.2580
C 3.142 -1.195 0.120 -0.1161
C 2.285 -2.340 -0.177 -0.1461
O 1.078 -2.304 -0.352 -0.0396
C 4.496 -1.446 0.345 -0.0411
H 5.498 1.689 1.079 0.1159
H 2.797 -3.311 -0.239 0.1465
H 4.877 -2.459 0.262 0.1245

***

71
Properties=species:S:1:pos:R:3:lowdin_spin:R:1 method="wB97M-V/def2-TZVPD" largest_force_ev_per_a=1.14 charge=-1 lumo_energy_ev="2.4 / 2.4" e_above_lowest_kcal_mol=3.9 spin_multiplicity=2 homo_ev="-4.05 / -4.18"
Ti 0.242 0.435 -0.140 0.8560
C -0.728 -1.689 0.312 0.0044
C 0.429 -1.989 -0.439 0.0010
C 1.551 -1.616 0.328 -0.0024
C 1.091 -1.072 1.545 0.0006
C -0.319 -1.127 1.541 0.0054
H -1.748 -1.800 -0.020 0.0003
H 0.437 -2.373 -1.448 0.0004
H 2.582 -1.663 0.016 -0.0003
H 1.705 -0.629 2.313 0.0002
H -0.980 -0.735 2.299 0.0012
Cl 0.509 5.800 1.339 0.0025
C 1.584 4.461 1.128 0.0035
Cl 3.256 4.837 0.812 0.0032
Cl 1.583 2.642 -2.373 0.0051
C 1.158 3.194 1.101 0.0227
N 0.818 2.063 1.040 0.0016
C -2.694 1.597 -2.285 0.0029
C -1.658 1.010 -1.363 0.0155
O -0.625 0.396 -1.988 0.0069
N -1.654 1.068 -0.090 -0.0046
Te -4.178 0.656 1.119 0.0006
C -6.180 0.549 1.899 0.0004
C -7.171 -0.099 1.148 0.0000
C -6.875 -0.768 -0.172 0.0000
C -8.487 -0.117 1.605 0.0000
C -8.856 0.486 2.797 0.0000
C -10.282 0.461 3.278 0.0000
C -7.861 1.096 3.548 0.0000
C -6.535 1.128 3.128 0.0000
C -5.519 1.788 4.020 0.0000
C -4.084 2.764 1.298 0.0002
C -5.005 3.570 0.622 0.0000
C -6.096 3.016 -0.256 0.0000
C -4.919 4.956 0.763 0.0001
C -3.946 5.553 1.546 0.0000
C -3.838 7.049 1.661 0.0000
C -3.043 4.730 2.208 0.0001
C -3.092 3.347 2.100 0.0001
C -2.076 2.532 2.850 -0.0002
H -2.197 2.149 -3.083 0.0004
H -3.366 2.254 -1.736 0.0004
H -3.273 0.793 -2.747 0.0002
H -5.959 -1.356 -0.147 0.0000
H -6.743 -0.026 -0.964 0.0000
H -7.697 -1.427 -0.453 0.0000
H -9.244 -0.619 1.010 0.0000
H -10.942 0.017 2.533 0.0000
H -10.646 1.469 3.491 0.0000
H -10.379 -0.120 4.198 0.0000
H -8.120 1.557 4.497 0.0000